## Given
........
1.
A relaxed structure of PaNbInO6. Source: the Alexandria database, functional PBE.

Unit cell a=5.639 b=5.639 c=9.412 alpha=90.00 beta=90.00 gamma=120.00
Fractional coordinates of all 18 atoms:
1 Pa 0.333 0.667 0.250
2 Pa 0.667 0.333 0.750
3 Nb 0.667 0.333 0.250
4 Nb 0.333 0.667 0.750
5 In 0.000 0.000 0.000
6 In 0.000 0.000 0.500
7 O 0.655 0.635 0.135
8 O 0.980 0.345 0.135
9 O 0.345 0.980 0.635
10 O 0.020 0.655 0.865
11 O 0.365 0.345 0.365
12 O 0.980 0.635 0.365
13 O 0.635 0.980 0.865
14 O 0.655 0.020 0.365
15 O 0.020 0.365 0.635
16 O 0.365 0.020 0.135
17 O 0.635 0.655 0.635
18 O 0.345 0.365 0.865

Results
- space-group type = P-31c (163)
- electronic total energy (eV per atom) = -8.3240
- energy relative to the elements, uncorrected (eV/atom) = -2.540

***

2.
A relaxed structure of Ti4In2O. Source: the Alexandria database, functional PBE.

Unit cell a=2.925 b=4.892 c=9.871 alpha=104.35 beta=90.00 gamma=90.00
Fractional coordinates of all 7 atoms:
1 Ti 0.500 0.575 0.151
2 Ti 0.000 0.700 0.400
3 Ti 0.500 0.425 0.849
4 Ti 0.000 0.300 0.600
5 In 0.500 0.158 0.315
6 In 0.500 0.842 0.685
7 O 0.000 0.500 0.000

Results
- space-group type = Cmmm (65)
- electronic total energy (eV per atom) = -6.5873
- energy relative to the elements, uncorrected (eV/atom) = -0.585

***

3.
A relaxed structure of Tb3Pr7Tl. Source: the Alexandria database, functional PBE.

Unit cell a=8.701 b=7.168 c=7.168 alpha=120.00 beta=90.00 gamma=90.00
Fractional coordinates of all 11 atoms:
1 Tb 0.781 0.501 0.499
2 Tb 0.781 0.501 0.001
3 Tb 0.781 0.999 0.499
4 Pr 0.117 0.169 0.831
5 Pr 0.117 0.169 0.338
6 Pr 0.110 0.667 0.333
7 Pr 0.451 0.831 0.169
8 Pr 0.451 0.337 0.169
9 Pr 0.451 0.831 0.663
10 Pr 0.117 0.662 0.831
11 Tl 0.462 0.333 0.667

Results
- space-group type = P3m1 (156)
- electronic total energy (eV per atom) = -4.3979
- calculated formation energy (meV/atom) = 121
........

## Exercise
It remains to retype the whole of the entries earlier on character by character.

## Done
1.
A relaxed structure of PaNbInO6. Source: the Alexandria database, functional PBE.

Unit cell a=5.639 b=5.639 c=9.412 alpha=90.00 beta=90.00 gamma=120.00
Fractional coordinates of all 18 atoms:
1 Pa 0.333 0.667 0.250
2 Pa 0.667 0.333 0.750
3 Nb 0.667 0.333 0.250
4 Nb 0.333 0.667 0.750
5 In 0.000 0.000 0.000
6 In 0.000 0.000 0.500
7 O 0.655 0.635 0.135
8 O 0.980 0.345 0.135
9 O 0.345 0.980 0.635
10 O 0.020 0.655 0.865
11 O 0.365 0.345 0.365
12 O 0.980 0.635 0.365
13 O 0.635 0.980 0.865
14 O 0.655 0.020 0.365
15 O 0.020 0.365 0.635
16 O 0.365 0.020 0.135
17 O 0.635 0.655 0.635
18 O 0.345 0.365 0.865

Results
- space-group type = P-31c (163)
- electronic total energy (eV per atom) = -8.3240
- energy relative to the elements, uncorrected (eV/atom) = -2.540

***

2.
A relaxed structure of Ti4In2O. Source: the Alexandria database, functional PBE.

Unit cell a=2.925 b=4.892 c=9.871 alpha=104.35 beta=90.00 gamma=90.00
Fractional coordinates of all 7 atoms:
1 Ti 0.500 0.575 0.151
2 Ti 0.000 0.700 0.400
3 Ti 0.500 0.425 0.849
4 Ti 0.000 0.300 0.600
5 In 0.500 0.158 0.315
6 In 0.500 0.842 0.685
7 O 0.000 0.500 0.000

Results
- space-group type = Cmmm (65)
- electronic total energy (eV per atom) = -6.5873
- energy relative to the elements, uncorrected (eV/atom) = -0.585

***

3.
A relaxed structure of Tb3Pr7Tl. Source: the Alexandria database, functional PBE.

Unit cell a=8.701 b=7.168 c=7.168 alpha=120.00 beta=90.00 gamma=90.00
Fractional coordinates of all 11 atoms:
1 Tb 0.781 0.501 0.499
2 Tb 0.781 0.501 0.001
3 Tb 0.781 0.999 0.499
4 Pr 0.117 0.169 0.831
5 Pr 0.117 0.169 0.338
6 Pr 0.110 0.667 0.333
7 Pr 0.451 0.831 0.169
8 Pr 0.451 0.337 0.169
9 Pr 0.451 0.831 0.663
10 Pr 0.117 0.662 0.831
11 Tl 0.462 0.333 0.667

Results
- space-group type = P3m1 (156)
- electronic total energy (eV per atom) = -4.3979
- calculated formation energy (meV/atom) = 121